-- Wanted --
Copy everything underneath word for word.

-- Given --
(1)
VASP calculation (GGA-PBE) on crystalline LaIn6Ni3 at its relaxed geometry.

## Properties
- Polymorph energy (0 for the lowest one): 0.0000 eV/atom

abc: 4.415 7.631 12.196
angles: 90.00 90.00 90.00
Sites, in units of the cell vectors:
In1 0.250 0.250 0.012
In2 0.750 0.043 0.161
In3 0.750 0.457 0.161
In4 0.250 0.750 0.251
In5 0.750 0.552 0.416
In6 0.750 0.948 0.416
In7 0.250 0.052 0.584
In8 0.250 0.448 0.584
In9 0.750 0.250 0.749
In10 0.250 0.543 0.839
In11 0.250 0.957 0.839
In12 0.750 0.750 0.988
La1 0.250 0.250 0.322
La2 0.750 0.750 0.678
Ni1 0.250 0.576 0.066
Ni2 0.250 0.924 0.066
Ni3 0.250 0.750 0.466
Ni4 0.750 0.250 0.534
Ni5 0.750 0.076 0.934
Ni6 0.750 0.424 0.934

(2)
VASP calculation (GGA-PBE) on crystalline LaIn2Ni at its relaxed geometry.

## Properties
- Raw total energy: -4.42 eV/atom

abc: 9.741 9.741 4.433
angles: 90.00 90.00 152.86
Sites, in units of the cell vectors:
In1 0.000 0.000 0.000
In2 0.794 0.206 0.500
In3 0.500 0.500 0.500
In4 0.206 0.794 0.500
La1 0.640 0.360 0.000
La2 0.360 0.640 0.000
Ni1 0.928 0.072 0.500
Ni2 0.072 0.928 0.500

(3)
VASP calculation (GGA-PBE) on crystalline LaIn2Ni9 at its relaxed geometry.

## Properties
- Raw total energy: -5.26 eV/atom

abc: 8.308 8.308 4.861
angles: 90.00 90.00 90.00
Last column: magnetic moment on the atom in μB.
Sites, in units of the cell vectors:
In1 0.376 0.124 0.000  0.00
In2 0.876 0.376 0.000  0.00
In3 0.124 0.624 0.000  0.00
In4 0.624 0.876 0.000  0.00
La1 0.000 0.000 0.000  -0.01
La2 0.500 0.500 0.000  -0.01
Ni1 0.676 0.176 0.250  0.09
Ni2 0.176 0.324 0.250  0.08
Ni3 0.824 0.676 0.250  0.08
Ni4 0.324 0.824 0.250  0.09
Ni5 0.500 0.000 0.500  0.04
Ni6 0.210 0.065 0.500  0.11
Ni7 0.935 0.210 0.500  0.08
Ni8 0.435 0.290 0.500  0.09
Ni9 0.710 0.435 0.500  0.11
Ni10 0.000 0.500 0.500  0.04
Ni11 0.290 0.565 0.500  0.11
Ni12 0.565 0.710 0.500  0.09
Ni13 0.065 0.790 0.500  0.08
Ni14 0.790 0.935 0.500  0.11
Ni15 0.676 0.176 0.750  0.09
Ni16 0.176 0.324 0.750  0.08
Ni17 0.824 0.676 0.750  0.08
Ni18 0.324 0.824 0.750  0.09

(4)
VASP calculation (GGA-PBE) on crystalline La2InNi2 at its relaxed geometry.

## Properties
- Raw total energy: -5.21 eV/atom

abc: 7.593 15.470 3.908
angles: 90.00 90.00 90.00
Sites, in units of the cell vectors:
In1 0.925 0.129 0.500
In2 0.425 0.371 0.500
In3 0.575 0.629 0.500
In4 0.075 0.871 0.500
La1 0.253 0.035 0.000
La2 0.607 0.216 0.000
La3 0.107 0.284 0.000
La4 0.753 0.465 0.000
La5 0.247 0.535 0.000
La6 0.893 0.716 0.000
La7 0.393 0.784 0.000
La8 0.747 0.965 0.000
Ni1 0.557 0.074 0.500
Ni2 0.305 0.181 0.500
Ni3 0.805 0.319 0.500
Ni4 0.057 0.426 0.500
Ni5 0.943 0.574 0.500
Ni6 0.195 0.681 0.500
Ni7 0.695 0.819 0.500
Ni8 0.443 0.926 0.500

(5)
VASP calculation (GGA-PBE) on crystalline LaPrIn2Ni4 at its relaxed geometry.

## Properties
- Polymorph energy (0 for the lowest one): 0.0000 eV/atom

abc: 4.104 5.270 7.204
angles: 90.00 90.00 90.00
Sites, in units of the cell vectors:
In1 0.500 0.500 0.343
In2 0.500 0.000 0.658
La1 0.000 0.000 0.272
Ni1 0.000 0.500 0.109
Ni2 0.000 0.000 0.892
Ni3 0.500 0.250 0.000
Ni4 0.500 0.750 0.000
Pr1 0.000 0.500 0.726

(6)
VASP calculation (GGA-PBE) on crystalline La2PrIn3Ni3 at its relaxed geometry.

## Properties
- Raw total energy: -4.87 eV/atom

abc: 4.012 7.609 7.609
angles: 120.37 90.00 90.00
Sites, in units of the cell vectors:
In1 0.500 0.247 0.247
In2 0.500 0.997 0.755
In3 0.500 0.755 0.997
La1 0.000 0.999 0.415
La2 0.000 0.415 0.999
Ni1 0.000 0.001 0.001
Ni2 0.500 0.667 0.331
Ni3 0.500 0.331 0.667
Pr1 0.000 0.586 0.586

(7)
VASP calculation (GGA-PBE) on crystalline LaPrIn2Ni4 at its relaxed geometry.

## Properties
- Polymorph energy (0 for the lowest one): 0.0555 eV/atom

abc: 4.457 4.457 9.144
angles: 90.00 90.00 120.00
Sites, in units of the cell vectors:
In1 0.667 0.333 0.246
In2 0.667 0.333 0.754
La1 0.000 0.000 0.500
Ni1 0.000 0.000 0.189
Ni2 0.333 0.667 0.312
Ni3 0.333 0.667 0.688
Ni4 0.000 0.000 0.811
Pr1 0.333 0.667 0.000

-- Done --
(1)
VASP calculation (GGA-PBE) on crystalline LaIn6Ni3 at its relaxed geometry.

## Properties
- Polymorph energy (0 for the lowest one): 0.0000 eV/atom

abc: 4.415 7.631 12.196
angles: 90.00 90.00 90.00
Sites, in units of the cell vectors:
In1 0.250 0.250 0.012
In2 0.750 0.043 0.161
In3 0.750 0.457 0.161
In4 0.250 0.750 0.251
In5 0.750 0.552 0.416
In6 0.750 0.948 0.416
In7 0.250 0.052 0.584
In8 0.250 0.448 0.584
In9 0.750 0.250 0.749
In10 0.250 0.543 0.839
In11 0.250 0.957 0.839
In12 0.750 0.750 0.988
La1 0.250 0.250 0.322
La2 0.750 0.750 0.678
Ni1 0.250 0.576 0.066
Ni2 0.250 0.924 0.066
Ni3 0.250 0.750 0.466
Ni4 0.750 0.250 0.534
Ni5 0.750 0.076 0.934
Ni6 0.750 0.424 0.934

(2)
VASP calculation (GGA-PBE) on crystalline LaIn2Ni at its relaxed geometry.

## Properties
- Raw total energy: -4.42 eV/atom

abc: 9.741 9.741 4.433
angles: 90.00 90.00 152.86
Sites, in units of the cell vectors:
In1 0.000 0.000 0.000
In2 0.794 0.206 0.500
In3 0.500 0.500 0.500
In4 0.206 0.794 0.500
La1 0.640 0.360 0.000
La2 0.360 0.640 0.000
Ni1 0.928 0.072 0.500
Ni2 0.072 0.928 0.500

(3)
VASP calculation (GGA-PBE) on crystalline LaIn2Ni9 at its relaxed geometry.

## Properties
- Raw total energy: -5.26 eV/atom

abc: 8.308 8.308 4.861
angles: 90.00 90.00 90.00
Last column: magnetic moment on the atom in μB.
Sites, in units of the cell vectors:
In1 0.376 0.124 0.000  0.00
In2 0.876 0.376 0.000  0.00
In3 0.124 0.624 0.000  0.00
In4 0.624 0.876 0.000  0.00
La1 0.000 0.000 0.000  -0.01
La2 0.500 0.500 0.000  -0.01
Ni1 0.676 0.176 0.250  0.09
Ni2 0.176 0.324 0.250  0.08
Ni3 0.824 0.676 0.250  0.08
Ni4 0.324 0.824 0.250  0.09
Ni5 0.500 0.000 0.500  0.04
Ni6 0.210 0.065 0.500  0.11
Ni7 0.935 0.210 0.500  0.08
Ni8 0.435 0.290 0.500  0.09
Ni9 0.710 0.435 0.500  0.11
Ni10 0.000 0.500 0.500  0.04
Ni11 0.290 0.565 0.500  0.11
Ni12 0.565 0.710 0.500  0.09
Ni13 0.065 0.790 0.500  0.08
Ni14 0.790 0.935 0.500  0.11
Ni15 0.676 0.176 0.750  0.09
Ni16 0.176 0.324 0.750  0.08
Ni17 0.824 0.676 0.750  0.08
Ni18 0.324 0.824 0.750  0.09

(4)
VASP calculation (GGA-PBE) on crystalline La2InNi2 at its relaxed geometry.

## Properties
- Raw total energy: -5.21 eV/atom

abc: 7.593 15.470 3.908
angles: 90.00 90.00 90.00
Sites, in units of the cell vectors:
In1 0.925 0.129 0.500
In2 0.425 0.371 0.500
In3 0.575 0.629 0.500
In4 0.075 0.871 0.500
La1 0.253 0.035 0.000
La2 0.607 0.216 0.000
La3 0.107 0.284 0.000
La4 0.753 0.465 0.000
La5 0.247 0.535 0.000
La6 0.893 0.716 0.000
La7 0.393 0.784 0.000
La8 0.747 0.965 0.000
Ni1 0.557 0.074 0.500
Ni2 0.305 0.181 0.500
Ni3 0.805 0.319 0.500
Ni4 0.057 0.426 0.500
Ni5 0.943 0.574 0.500
Ni6 0.195 0.681 0.500
Ni7 0.695 0.819 0.500
Ni8 0.443 0.926 0.500

(5)
VASP calculation (GGA-PBE) on crystalline LaPrIn2Ni4 at its relaxed geometry.

## Properties
- Polymorph energy (0 for the lowest one): 0.0000 eV/atom

abc: 4.104 5.270 7.204
angles: 90.00 90.00 90.00
Sites, in units of the cell vectors:
In1 0.500 0.500 0.343
In2 0.500 0.000 0.658
La1 0.000 0.000 0.272
Ni1 0.000 0.500 0.109
Ni2 0.000 0.000 0.892
Ni3 0.500 0.250 0.000
Ni4 0.500 0.750 0.000
Pr1 0.000 0.500 0.726

(6)
VASP calculation (GGA-PBE) on crystalline La2PrIn3Ni3 at its relaxed geometry.

## Properties
- Raw total energy: -4.87 eV/atom

abc: 4.012 7.609 7.609
angles: 120.37 90.00 90.00
Sites, in units of the cell vectors:
In1 0.500 0.247 0.247
In2 0.500 0.997 0.755
In3 0.500 0.755 0.997
La1 0.000 0.999 0.415
La2 0.000 0.415 0.999
Ni1 0.000 0.001 0.001
Ni2 0.500 0.667 0.331
Ni3 0.500 0.331 0.667
Pr1 0.000 0.586 0.586

(7)
VASP calculation (GGA-PBE) on crystalline LaPrIn2Ni4 at its relaxed geometry.

## Properties
- Polymorph energy (0 for the lowest one): 0.0555 eV/atom

abc: 4.457 4.457 9.144
angles: 90.00 90.00 120.00
Sites, in units of the cell vectors:
In1 0.667 0.333 0.246
In2 0.667 0.333 0.754
La1 0.000 0.000 0.500
Ni1 0.000 0.000 0.189
Ni2 0.333 0.667 0.312
Ni3 0.333 0.667 0.688
Ni4 0.000 0.000 0.811
Pr1 0.333 0.667 0.000